(Exercise)
Could you work out how many lines further down have the word "Volume" in them; a number is enough?

(Data)
____________
1.
Entry from the Alexandria database: a geometry-optimized La2GeRh4 structure (PBE).

**VASP energy**: -46.686 eV/cell
**Calculated formation energy**: -0.401 eV per atom
**Volume**: 21.64 Å³ per atom
**SG**: I4/mmm, No. 139
**N(E_F)**: 2.5 states/eV/f.u.

POSCAR file:
```
La2GeRh4
1.0
-2.338 2.338 6.928
2.338 -2.338 6.928
2.338 2.338 -6.928
La Ge Rh
2 1 4
Cartesian
0.000 0.000 2.120 La
0.000 0.000 11.736 La
0.000 0.000 6.928 Ge
2.338 0.000 0.000 Rh
0.000 0.000 4.557 Rh
0.000 2.338 0.000 Rh
0.000 0.000 9.299 Rh
```

=====

2.
Entry from the Alexandria database: a geometry-optimized NdScSnHg structure (PBE).

**VASP energy**: -17.480 eV/cell
**Calculated formation energy**: -0.519 eV per atom
**Volume**: 25.54 Å³ per atom
**SG**: F-43m, No. 216
**N(E_F)**: 3.5 states/eV/f.u.

POSCAR file:
____________

(Completed)
2